Next, count the lines underneath that contain the word "O9" and give the number alone.
(1)
# CaEr2Cd5
Simulated powder diffractogram, λ = 1.5418 Å (Cu Kα). Input: a structure optimized by DFT (GGA-PBE).

```
data_CaEr2Cd5
_symmetry_space_group_name_H-M 'I 4/m m m'
_symmetry_Int_Tables_number 139
_symmetry_space_group_name_Hall '-I 4 2'
_cell_length_a 5.1438
_cell_length_b 5.1438
_cell_length_c 15.0657
_cell_angle_alpha 90.00
_cell_angle_beta 90.00
_cell_angle_gamma 90.00
loop_
_atom_site_label
_atom_site_type_symbol
_atom_site_fract_x
_atom_site_fract_y
_atom_site_fract_z
Ca1 Ca 0.0000 0.0000 0.0000
Er1 Er 0.0000 0.0000 0.2610
Cd1 Cd 0.0000 0.0000 0.5000
Cd2 Cd 0.0000 0.5000 0.1233
```

Peak list (10 most intense, 2θ from 10° to 80°, sorted by position)
2θ (°), intensity, hkl
11.75, 86, 0 0 2
27.23, 66, 1 1 2
34.27, 1000, 1 1 4
34.89, 490, 2 0 0
48.33, 85, 0 0 8
50.16, 171, 2 2 0
60.98, 166, 2 0 8
62.16, 341, 3 1 4
72.21, 99, 2 2 8
73.67, 53, 4 0 0

(2)
# Tl3OsN
Simulated powder diffractogram, λ = 1.5418 Å (Cu Kα). Input: a structure optimized by DFT (GGA-PBE).

```
data_Tl3OsN
_symmetry_space_group_name_H-M 'P m -3 m'
_symmetry_Int_Tables_number 221
_symmetry_space_group_name_Hall '-P 4 2 3'
_cell_length_a 5.3176
_cell_length_b 5.3176
_cell_length_c 5.3176
_cell_angle_alpha 90.00
_cell_angle_beta 90.00
_cell_angle_gamma 90.00
loop_
_atom_site_label
_atom_site_type_symbol
_atom_site_fract_x
_atom_site_fract_y
_atom_site_fract_z
Tl1 Tl 0.0000 0.0000 0.5000
Os1 Os 0.0000 0.0000 0.0000
N1 N 0.5000 0.5000 0.5000
```

Peak list (10 most intense, 2θ from 10° to 80°, sorted by position)
2θ (°), intensity, hkl
16.67, 1000, 1 0 0
29.09, 472, 1 1 1
33.71, 847, 2 0 0
37.83, 542, 2 1 0
48.42, 621, 2 2 0
51.56, 286, 3 0 0
57.48, 212, 3 1 1
60.29, 216, 2 2 2
63.03, 127, 3 2 0
73.42, 164, 4 1 0

(3)
# NaLi2La3Ti6O18
Simulated powder diffractogram, λ = 1.5418 Å (Cu Kα). Input: a structure optimized by DFT (GGA-PBE).

```
data_NaLi2La3Ti6O18
_symmetry_space_group_name_H-M 'C 1 2 1'
_symmetry_Int_Tables_number 5
_symmetry_space_group_name_Hall 'C 2y'
_cell_length_a 9.6135
_cell_length_b 16.4948
_cell_length_c 5.5367
_cell_angle_alpha 90.00
_cell_angle_beta 125.14
_cell_angle_gamma 90.00
loop_
_atom_site_label
_atom_site_type_symbol
_atom_site_fract_x
_atom_site_fract_y
_atom_site_fract_z
Na1 Na 0.0000 0.0000 0.0000
Li1 Li 0.0014 0.5820 0.2476
La1 La 0.0000 0.1669 0.5000
La2 La 0.0000 0.3370 0.0000
La3 La 0.0000 0.8249 0.5000
Ti1 Ti 0.2449 0.0005 0.7416
Ti2 Ti 0.2468 0.1617 0.2382
Ti3 Ti 0.2469 0.8366 0.2507
O1 O 0.0000 0.0063 0.5000
O2 O 0.0000 0.1569 0.0000
O3 O 0.0000 0.3335 0.5000
O4 O 0.0000 0.4932 0.0000
O5 O 0.0000 0.6690 0.5000
O6 O 0.0000 0.8231 0.0000
O7 O 0.2237 0.2387 0.9529
O8 O 0.2319 0.2606 0.4423
O9 O 0.2331 0.9208 0.4630
O10 O 0.2360 0.8978 0.9377
O11 O 0.2457 0.5713 0.9674
O12 O 0.2485 0.5935 0.4591
```

Peak list (10 most intense, 2θ from 10° to 80°, sorted by position)
2θ (°), intensity, hkl
10.73, 297, 0 2 0
12.47, 207, 1 1 0
16.89, 252, 1 1 -1
32.33, 1000, 2 0 -2
32.57, 199, 0 6 0
46.19, 188, 4 0 0
46.56, 345, 2 6 -2
57.67, 243, 1 3 -3
57.97, 155, 1 9 1
67.68, 240, 6 6 -2


Record 1
# NaCoAsO4
Theoretical XRD peak list, Cu Kα (weighted mean of Kα1 and Kα2). Input: DFT lattice parameters and positions (GGA+U).
Peak positions follow from Bragg's law for the DFT cell and can differ from measured ones.

Structure:
Unit cell a=9.2334 b=9.2334 c=9.2334 alpha=31.22 beta=31.22 gamma=31.22
Fractional coordinates of all 14 atoms:
1 Na 0.2131 0.2131 0.2131
2 Na 0.7869 0.7869 0.7869
3 Co 0.3366 0.3366 0.3366
4 Co 0.6634 0.6634 0.6634
5 As 0.0679 0.0679 0.0679
6 As 0.9321 0.9321 0.9321
7 O 0.0364 0.3841 0.7208
8 O 0.1316 0.1316 0.1316
9 O 0.2792 0.9636 0.6159
10 O 0.3841 0.7208 0.0364
11 O 0.6159 0.2792 0.9636
12 O 0.7208 0.0364 0.3841
13 O 0.8684 0.8684 0.8684
14 O 0.9636 0.6159 0.2792

Peak list (12 most intense, 10 to 90 degrees two-theta, low angle first)
d/Å  I (rel.)
8.776  100
4.247  23
3.602  11
3.332  12
2.832  39
2.614  16
2.485  43
2.391  8
1.868  12
1.493  11
1.434  30
1.416  6

---

Record 2
# NaCo2As3O10
1